- What is seagull CES 4.1?
- What is the goose girl by Shannon hale about?
- Is solid bones adaptation related to flight birds?
- What is the symbolism of a sparrow or small bird as an animal spirit guide?
- How are finches in the Galapagos is lands a good example of adaptation?
- What does the peacock represent in greek mythology?
- Why the finches of Galapagos Islands interbreed?
- What is the meaning of Florence blue birdcage tattoo on her middle finger?
Attached: data records =
Entry 1:
The following is a DFT calculation (the ωB97M-V functional and the def2-TZVPD basis) of a cluster of 6 separate species, C33H61N2O13P in total.

- HOMO level: -9.29 eV
- SMILES: C=CC[C@](C#N)(CC#N)CCP(=O)(OCC)OCC.CCOC(C)=O.CCOC(C)=O.CCOC(C)=O.CCOC(C)=O.CCOC(C)=O
- LUMO level: 0.485 eV
- Max |F|: 1.4 eV/Å
- Charge: 0
- Calculated total energy: -74097.3166 eV

Last columns: bonded neighbours and bond lengths (Å).
Positions of all 110 atoms, in Å:
1 C 5.0330 -0.6502 -1.0045  C2 1.334, H20 1.083, H21 1.087
2 C 4.3511 0.2482 -1.7163  C1 1.334, C3 1.520, H22 1.086
3 C 3.8840 -0.0878 -3.1235  C2 1.520, C4 1.556, H23 1.095, H24 1.088
4 C 2.4172 0.3507 -3.4019  C3 1.556, C5 1.485, C7 1.544, C10 1.543
5 C 1.8789 -0.5828 -4.4240  C4 1.485, N6 1.150
6 N 1.4273 -1.1690 -5.3037  C5 1.150
7 C 2.3637 1.7858 -3.9680  C4 1.544, C8 1.476, H25 1.093, H26 1.090
8 C 3.1250 1.9516 -5.2211  C7 1.476, N9 1.149
9 N 3.8578 2.1658 -6.0799  C8 1.149
10 C 1.5778 0.3349 -2.1076  C4 1.543, C11 1.553, H27 1.091, H28 1.090
11 C 0.0460 0.3797 -2.3570  C10 1.553, P12 1.824, H29 1.092, H30 1.091
12 P -0.7852 -1.1573 -1.8355  C11 1.824, O13 1.474, O14 1.627, O17 1.609
13 O 0.1270 -2.1670 -1.2681  P12 1.474
14 O -1.5217 -1.7128 -3.1755  P12 1.627, C15 1.439
15 C -0.9549 -2.9132 -3.7300  O14 1.439, C16 1.544, H31 1.086, H32 1.089
16 C -1.6997 -3.2150 -5.0479  C15 1.544, H33 1.089, H34 1.088, H35 1.091
17 O -2.0119 -0.8434 -0.8424  P12 1.609, C18 1.445
18 C -1.8788 0.3322 -0.0132  O17 1.445, C19 1.537, H36 1.091, H37 1.091
19 C -2.7225 1.4769 -0.5962  C18 1.537, H38 1.094, H39 1.085, H40 1.085
20 H 5.0647 -0.6470 0.0782  C1 1.083
21 H 5.5719 -1.4245 -1.5443  C1 1.087
22 H 4.1719 1.2198 -1.2660  C2 1.086
23 H 4.5796 0.3311 -3.8578  C3 1.095
24 H 3.9241 -1.1705 -3.2269  C3 1.088
25 H 1.3220 2.0637 -4.1501  C7 1.093
26 H 2.7221 2.4861 -3.2130  C7 1.090
27 H 1.8613 1.2284 -1.5503  C10 1.091
28 H 1.8390 -0.5082 -1.4688  C10 1.090
29 H -0.1938 0.5573 -3.4077  C11 1.092
30 H -0.3290 1.2589 -1.8320  C11 1.091
31 H 0.1102 -2.8173 -3.9194  C15 1.086
32 H -1.1064 -3.7562 -3.0580  C15 1.089
33 H -2.0297 -4.2532 -5.0655  C16 1.089
34 H -1.0794 -2.9830 -5.9107  C16 1.088
35 H -2.6022 -2.6024 -5.0700  C16 1.091
36 H -0.8412 0.6052 0.1838  C18 1.091
37 H -2.2999 0.0559 0.9543  C18 1.091
38 H -2.8032 1.3013 -1.6735  C19 1.094
39 H -2.3322 2.4665 -0.3832  C19 1.085
40 H -3.7325 1.3595 -0.2165  C19 1.085
41 O -3.8096 2.6593 1.8916  C42 1.200
42 C -4.5120 3.6270 1.7937  O41 1.200, O43 1.346, C46 1.510
43 O -5.2635 3.7678 0.6854  C42 1.346, C44 1.430
44 C -6.2683 4.7741 0.5391  O43 1.430, C45 1.514, H47 1.091, H48 1.089
45 C -5.6862 6.0738 0.0240  C44 1.514, H49 1.090, H50 1.090, H51 1.090
46 C -4.5078 4.7226 2.8324  C42 1.510, H52 1.089, H53 1.087, H54 1.088
47 H -6.8226 4.9074 1.4692  C44 1.091
48 H -6.9717 4.3715 -0.1884  C44 1.089
49 H -4.9672 6.4968 0.7257  C45 1.090
50 H -6.4774 6.8056 -0.1421  C45 1.090
51 H -5.1606 5.9033 -0.9157  C45 1.090
52 H -3.7088 5.4249 2.5981  C46 1.089
- Why do ducks geese etc fly in uneven v formation?
- How do peacocks react when someone is on their territory?
- How do you tell the difference between a boy and girl Scaly breasted lorikeets?
- What is the trumpeter swans habitat?
- What are the answer for st ory mystery of swooping seagull?
- How are birds the same as bats?
- What does Getting the goose bumps means?
- Which bird is known for its ability to prey on fishes?
- What rhymes with moth?
- Is beak a close syllable word?
- Why are the Canada geese important to Canada?
- What is the difference between an eagle and a condor?
- How does a Barn Owls affect environment?
- One reson why turkey is called turkey?
- What does it mean if you see two lovebirds outside your window everyday?
- Why are birds kept in a santuary?
- What is a bird that looks like duck with strange cry?
- What does seeing a brown owl mean?
- How was clocks and watches symbolic in the story an occurrence at owl creek bridge?
- What are the features of penguins?
- What is the zen influence behind this Basho poem My eyes following until bird was lost at sea found a small island?
- What are some spotted owl facts?
- how can i the diff between a female geese or male gander ?
- Why do flamingos stand in water?
- Why do bird sings outside your window very late at night?
- Are hummingbirds a learned or innate behaviors?
- What repels ducks?
- How is a squids beak different from parrots beak?
- What are two things a mammal and bird have in common?
- What to do when a male hummingbird dominates other hummingbirds?
- What is the habitat of seagulls?
- What is an beaks function?
- What do you think the bird is?
- Can falcons be used like carrier pigeons to relay messages?
- How birds soar on thermals?
- Filoplumes are also known as feathers?
- Is an egg from a duck fertilized upon laying if male is present and has mated with the female or does fertilization occur after laying?
- Why does the author say hummingbird looks like a bright flash of sunlight?
- Would you list a of water fowl?
- What is the moral lesson of parable rooster?
- Where does swans hibernate?
- Is the do-do bird a cousin to kiwi bird?